Activity.
The reader should find the line below that holds "1.1301", then quote that line and all lines after it there.

Entries.
=====
ORCA calculation (the ωB97M-V functional and the def2-TZVPD basis) on 3 unconnected molecules or ions with the total composition C24H42INO6P at a distorted geometry.

Each line ends with the Löwdin charge.
Element x y z (Å)
C  2.5159  -0.3567  3.6465  0.061
C  2.9014  -1.6151  3.5198  -0.097
C  3.3906  -3.1487  3.3130  -0.193
C  2.3479  -4.2074  3.9437  -0.191
C  0.8785  -4.1832  3.2506  -0.141
C  0.9571  -4.0117  1.6379  -0.039
C  0.7527  -2.5650  1.0002  0.107
N  0.8383  -2.2656  -0.4224  -0.023
C  0.6847  -0.9045  -1.0450  -0.643
I  -1.1498  -0.7350  -2.2811  0.874
C  0.8767  0.3243  -0.0196  -0.262
C  -0.4079  0.6676  0.8992  -0.140
C  1.1301  -3.3725  -1.3694  -0.142
O  1.2468  -3.1528  -2.7742  -0.136
C  2.6331  -2.9366  -3.2009  -0.168
C  3.7229  -2.8650  -2.0139  -0.200
C  5.1750  -2.6291  -2.7510  -0.230
C  6.3101  -3.2994  -1.7732  -0.129
C  1.3135  -4.8867  -0.8853  0.146
C  1.2300  -5.2225  0.6563  0.005
C  1.4243  -6.7357  1.1801  -0.361
O  2.2399  -7.0942  2.0806  0.101
O  0.5576  -7.7392  0.5682  -0.209
P  -1.0875  -7.3304  0.8814  0.779
O  -1.5799  -6.4725  -0.3318  -0.451
H  2.4358  0.7785  3.7589  0.060
H  3.6400  -3.3580  2.1975  0.111
H  4.3937  -3.2948  3.8837  0.127
H  2.7933  -5.2621  3.7618  0.110
H  2.3296  -4.0508  5.0817  0.129
H  0.2770  -3.2801  3.6585  0.127
H  0.3297  -5.1794  3.4863  0.113
H  0.5570  -1.7182  1.7735  0.120
H  1.5514  -0.8180  -1.8219  0.099
H  1.7443  0.0175  0.7003  0.103
H  1.2431  1.2962  -0.5499  0.132
H  -0.5449  1.8273  0.9808  0.078
H  -0.1386  0.3261  1.9852  0.065
H  -1.3720  0.1074  0.6266  0.052
H  2.7174  -1.9543  -3.8216  0.150
H  2.9364  -3.8110  -3.9057  0.147
H  3.8563  -3.8683  -1.4341  0.113
H  3.5440  -1.9848  -1.2759  0.123
H  5.2306  -3.2064  -3.7648  0.117
H  5.3940  -1.5192  -2.9505  0.112
H  6.4848  -4.4155  -1.9958  0.083
H  5.8716  -3.2522  -0.6938  0.068
H  7.3022  -2.7101  -1.7725  0.081
H  1.5332  -5.6990  -1.6744  0.152
H  -1.2496  -6.5638  2.0946  0.040
H  -1.9162  -8.5022  0.9604  0.047
C  -2.7929  5.8976  0.1825  -0.067
C  -1.4398  5.3798  0.6427  -0.493
C  -0.3063  6.0132  -0.1485  -0.065
O  -1.3951  3.9617  0.4826  -0.084
H  -2.9663  5.6559  -0.8716  0.081
H  -3.5990  5.4253  0.7512  0.085
H  -2.8648  6.9806  0.3080  0.079
H  -1.3080  5.5917  1.7079  0.141
H  -0.3929  5.7754  -1.2140  0.081
H  0.6600  5.6231  0.1850  0.077
H  -0.3035  7.1002  -0.0327  0.084
H  -1.5110  3.7638  -0.4579  0.088
C  -6.3548  6.9972  -2.6600  -0.066
C  -6.5908  7.0920  -1.1608  -0.502
C  -7.8290  7.9165  -0.8463  -0.065
O  -5.4541  7.6883  -0.5392  -0.069
H  -6.1953  7.9898  -3.0942  0.083
H  -5.4550  6.4117  -2.8711  0.074
H  -7.2038  6.5281  -3.1645  0.081
H  -6.7018  6.0875  -0.7418  0.138
H  -7.7209  8.9411  -1.2173  0.082
H  -7.9797  7.9861  0.2348  0.081
H  -8.7222  7.4749  -1.2965  0.081
H  -5.3473  8.5786  -0.9036  0.093

Values from the calculation:
* net charge: +1
* LUMO: -4.908 eV
* HOMO: -11.506 eV
* calculated total energy: -2084.299510 Eh

***

ORCA calculation (the ωB97M-V functional and the def2-TZVPD basis) on a molecular structure, C60H48Cl2CoN6O4PTe.

Each line ends with the Löwdin charge.
Element x y z (Å)
Co  -0.1643  -0.3514  -0.1583  0.407
Cl  5.6960  -1.0954  3.1448  0.610
C  4.4679  -0.1504  2.3440  -0.695
C  3.6516  -0.7721  1.4149  -0.068
C  2.6493  -0.0835  0.7117  -0.207
N  1.8105  -0.7121  -0.1661  0.003
C  2.1380  -1.8953  -0.7392  -0.182
O  4.3586  -1.0815  -1.4509  -0.008
C  1.0874  -2.9169  -0.5505  -0.150
C  1.2462  -4.3004  -0.6291  0.000
C  0.1899  -5.1200  -0.2588  -0.071
C  -0.9906  -4.5640  0.1979  -0.066
C  -1.0771  -3.1801  0.2575  -0.127
N  -0.0824  -2.3939  -0.1222  0.079
C  2.4231  1.2681  1.0751  -0.196
C  3.2527  1.8723  2.0077  -0.046
C  4.2798  1.1871  2.6401  -0.702
Cl  5.2862  2.0256  3.7893  0.600
N  1.4165  2.0657  0.5183  0.140
C  0.1413  2.2431  1.2309  -0.367
O  -0.5052  3.3710  0.6761  0.026
C  -0.1828  1.6493  2.5269  -0.179
C  -0.7724  2.3423  3.5757  0.000
C  -1.0966  1.6398  4.7248  -0.084
=====

Solution.
C  1.1301  -3.3725  -1.3694  -0.142
O  1.2468  -3.1528  -2.7742  -0.136
C  2.6331  -2.9366  -3.2009  -0.168
C  3.7229  -2.8650  -2.0139  -0.200
C  5.1750  -2.6291  -2.7510  -0.230
C  6.3101  -3.2994  -1.7732  -0.129
C  1.3135  -4.8867  -0.8853  0.146
C  1.2300  -5.2225  0.6563  0.005
C  1.4243  -6.7357  1.1801  -0.361
O  2.2399  -7.0942  2.0806  0.101
O  0.5576  -7.7392  0.5682  -0.209
P  -1.0875  -7.3304  0.8814  0.779
O  -1.5799  -6.4725  -0.3318  -0.451
H  2.4358  0.7785  3.7589  0.060
H  3.6400  -3.3580  2.1975  0.111
H  4.3937  -3.2948  3.8837  0.127
H  2.7933  -5.2621  3.7618  0.110
H  2.3296  -4.0508  5.0817  0.129
H  0.2770  -3.2801  3.6585  0.127
H  0.3297  -5.1794  3.4863  0.113
H  0.5570  -1.7182  1.7735  0.120
H  1.5514  -0.8180  -1.8219  0.099
H  1.7443  0.0175  0.7003  0.103
H  1.2431  1.2962  -0.5499  0.132
H  -0.5449  1.8273  0.9808  0.078
H  -0.1386  0.3261  1.9852  0.065
H  -1.3720  0.1074  0.6266  0.052
H  2.7174  -1.9543  -3.8216  0.150
H  2.9364  -3.8110  -3.9057  0.147
H  3.8563  -3.8683  -1.4341  0.113
H  3.5440  -1.9848  -1.2759  0.123
H  5.2306  -3.2064  -3.7648  0.117
H  5.3940  -1.5192  -2.9505  0.112
H  6.4848  -4.4155  -1.9958  0.083
H  5.8716  -3.2522  -0.6938  0.068
H  7.3022  -2.7101  -1.7725  0.081
H  1.5332  -5.6990  -1.6744  0.152
H  -1.2496  -6.5638  2.0946  0.040
H  -1.9162  -8.5022  0.9604  0.047
C  -2.7929  5.8976  0.1825  -0.067
C  -1.4398  5.3798  0.6427  -0.493
C  -0.3063  6.0132  -0.1485  -0.065
O  -1.3951  3.9617  0.4826  -0.084
H  -2.9663  5.6559  -0.8716  0.081
H  -3.5990  5.4253  0.7512  0.085
H  -2.8648  6.9806  0.3080  0.079
H  -1.3080  5.5917  1.7079  0.141
H  -0.3929  5.7754  -1.2140  0.081
H  0.6600  5.6231  0.1850  0.077
H  -0.3035  7.1002  -0.0327  0.084
H  -1.5110  3.7638  -0.4579  0.088
C  -6.3548  6.9972  -2.6600  -0.066
C  -6.5908  7.0920  -1.1608  -0.502
C  -7.8290  7.9165  -0.8463  -0.065
O  -5.4541  7.6883  -0.5392  -0.069
H  -6.1953  7.9898  -3.0942  0.083
H  -5.4550  6.4117  -2.8711  0.074
H  -7.2038  6.5281  -3.1645  0.081
H  -6.7018  6.0875  -0.7418  0.138
H  -7.7209  8.9411  -1.2173  0.082
H  -7.9797  7.9861  0.2348  0.081
H  -8.7222  7.4749  -1.2965  0.081
H  -5.3473  8.5786  -0.9036  0.093

Values from the calculation:
* net charge: +1
* LUMO: -4.908 eV
* HOMO: -11.506 eV
* calculated total energy: -2084.299510 Eh

***

ORCA calculation (the ωB97M-V functional and the def2-TZVPD basis) on a molecular structure, C60H48Cl2CoN6O4PTe.

Each line ends with the Löwdin charge.
Element x y z (Å)
Co  -0.1643  -0.3514  -0.1583  0.407
Cl  5.6960  -1.0954  3.1448  0.610
C  4.4679  -0.1504  2.3440  -0.695
C  3.6516  -0.7721  1.4149  -0.068
C  2.6493  -0.0835  0.7117  -0.207
N  1.8105  -0.7121  -0.1661  0.003
C  2.1380  -1.8953  -0.7392  -0.182
O  4.3586  -1.0815  -1.4509  -0.008
C  1.0874  -2.9169  -0.5505  -0.150
C  1.2462  -4.3004  -0.6291  0.000
C  0.1899  -5.1200  -0.2588  -0.071
C  -0.9906  -4.5640  0.1979  -0.066
C  -1.0771  -3.1801  0.2575  -0.127
N  -0.0824  -2.3939  -0.1222  0.079
C  2.4231  1.2681  1.0751  -0.196
C  3.2527  1.8723  2.0077  -0.046
C  4.2798  1.1871  2.6401  -0.702
Cl  5.2862  2.0256  3.7893  0.600
N  1.4165  2.0657  0.5183  0.140
C  0.1413  2.2431  1.2309  -0.367
O  -0.5052  3.3710  0.6761  0.026
C  -0.1828  1.6493  2.5269  -0.179
C  -0.7724  2.3423  3.5757  0.000
C  -1.0966  1.6398  4.7248  -0.084